
Sunday, March 31, 2019

Next to the page, the page also holds molecular data:
=====
# 1
# C23H25N6O2PdS2

C23H25N6O2PdS2 as an isolated structure (wB97M-V/def2-TZVPD, OMol25).

Properties
- HOMO: -0.369 hartree
- Lowest unoccupied orbital energy: -2.616 eV
- Total energy: -2294.585346 Eh
- Energy above the lowest of the compared OMol25 structures with the same formula, charge and spin: 0.0 kJ/mol

Geometry as ORCA input:
```
! wB97M-V def2-TZVPD RIJCOSX def2/J DEFGRID3
* xyz 1 1
Pd 0.776 0.159 -0.518
C -2.910 3.007 -0.172
O -1.912 2.041 0.141
C -1.762 1.710 1.464
C -2.148 2.528 2.515
C -1.938 2.112 3.826
C -1.355 0.885 4.092
C -0.974 0.066 3.038
C -1.171 0.476 1.735
N -0.779 -0.359 0.634
N -1.542 -1.355 0.487
C -1.475 -2.239 -0.522
C -0.689 -2.068 -1.693
O 0.139 -1.114 -1.907
C -0.847 -3.015 -2.760
C -1.689 -4.063 -2.647
C -2.482 -4.284 -1.475
C -3.350 -5.386 -1.384
C -4.116 -5.578 -0.263
C -4.028 -4.665 0.795
C -3.182 -3.583 0.727
C -2.390 -3.370 -0.413
H -2.612 4.008 0.153
H -3.862 2.749 0.294
H -3.019 2.993 -1.253
H -2.621 3.481 2.325
H -2.245 2.755 4.639
H -1.201 0.562 5.112
H -0.523 -0.902 3.217
H -0.254 -2.849 -3.649
H -1.778 -4.769 -3.464
H -3.404 -6.078 -2.215
H -4.784 -6.426 -0.194
H -4.633 -4.812 1.681
H -3.123 -2.886 1.551
S 2.461 0.794 -2.047
C 3.767 -0.189 -1.631
N 4.946 -0.179 -2.271
C 5.801 -1.280 -1.818
C 5.166 -1.612 -0.461
N 3.810 -1.096 -0.648
H 5.028 0.243 -3.181
H 6.838 -0.965 -1.730
H 5.739 -2.123 -2.509
H 5.666 -1.093 0.360
H 5.158 -2.679 -0.257
H 3.131 -1.055 0.095
S 1.766 1.485 1.121
C 1.546 3.067 0.554
N 0.631 3.464 -0.331
C 0.570 4.926 -0.393
C 1.927 5.319 0.208
N 2.259 4.116 0.974
H -0.174 2.870 -0.501
H -0.257 5.297 0.217
H 0.448 5.276 -1.414
H 1.865 6.194 0.850
H 2.675 5.493 -0.568
H 3.117 3.995 1.484
*
```

=====

# 2
# C23H26As2N3O2Ti

C23H26As2N3O2Ti as an isolated structure (wB97M-V/def2-TZVPD, OMol25).

Properties
- HOMO (alpha / beta): -0.364 / -0.389 hartree
- Lowest unoccupied orbital energy (alpha / beta): -3.390 / -3.616 eV
- Total energy: -6527.639984 Eh
- Energy above the lowest of the compared OMol25 structures with the same formula, charge and spin: 13.9 kJ/mol
- ⟨S²⟩: 2.016

Geometry as ORCA input:
```
! wB97M-V def2-TZVPD RIJCOSX def2/J DEFGRID3
* xyz 1 3
Ti 1.224 0.075 0.310
O -1.471 4.246 2.346
C -1.619 3.266 3.249
C -2.578 3.458 4.244
C -2.788 2.493 5.206
C -2.049 1.309 5.204
C -1.105 1.107 4.225
C -0.874 2.069 3.231
C 0.108 1.774 2.189
O 0.659 0.598 2.145
N 0.416 2.695 1.288
N 1.290 2.128 0.399
C 2.175 2.852 -0.177
C 3.194 2.082 -0.875
C 4.257 2.663 -1.552
C 5.235 1.850 -2.094
C 5.128 0.475 -1.940
C 4.034 -0.031 -1.265
N 3.074 0.740 -0.743
H -0.737 4.011 1.738
H -3.140 4.382 4.239
H -3.533 2.661 5.973
H -2.214 0.561 5.967
H -0.517 0.200 4.201
H 2.206 3.931 -0.070
H 4.306 3.740 -1.633
H 6.077 2.277 -2.623
H 5.876 -0.196 -2.335
H 3.911 -1.099 -1.132
C -2.413 1.460 -1.233
As -1.355 -0.033 -0.585
C -2.373 -0.607 0.970
C -1.699 -1.493 -1.820
C -2.863 -1.538 -2.580
C -3.125 -2.619 -3.407
C -2.228 -3.675 -3.473
C -1.064 -3.638 -2.721
C -0.784 -2.550 -1.900
As 0.878 -2.508 -0.881
=====

Which Are The Healthiest Foods We Can Eat?

Get the best Healthiest Foods list and information in this article. Read the full article to know more about this and eat only healthy foods and vegetables and live a long and healthy lifestyle.

healthiest food

Why we should eat only healthiest foods?

Everybody knows that we should eat food which is healthy and we should avoid junk foods. Day by day our health is getting worse and we have to improve our health to stay in this world.

And to stay healthy and fit we have to eat healthy and should exercise regularly. There is nothing special food available which healthiest, any food except junk food is healthy.

If you observe your kitchen you will get so many healthy foods like green vegetables, fruits,e.t.c. Rather than eating those junk foods, you should eat these foods.

Your daily diet should be a healthy diet and include some green vegetables in it like spinach, cauliflower, broccoli,e.t.c.They are really good in taste and full of vitamins, minerals, magnesium, iron and many more.

Many children hate green vegetables and love junk foods, you should take care that what you should do to make them believe that green vegetables are tasty and healthy also so, they will start eating them and stop eating the junk food.

In this date many parents give money to their child especially this happens in the city and they go out outside to eat the food. They completely stop eating healthy food and getting fat day by day. 

For your child future, you should take care of their food and give them healthy food.because of the junk food you may suffer from various health problems like stomach cancer, fatigue, throat infection, even you may can't walk by your own because of health problems in future.

If you start eating healthy food today then you can build a better future. There are many peoples in this world who are eating healthy and living a healthy life like if you open youtube you will find many fitness related videos and peoples who tell about the health and healthy lifestyle.

There any many Bollywood celebrities who are very health conscious and any maintaining their life by doing regular exercise and eating healthy foods. You may know some celebrities or even you may follow them.

They have their personal doctors and nutritionist which take care of them and regularly consult them about what should eat? The time when they have to eat?. I know that we can't afford like them but you can do it by yourself at home by maintaining diet and your daily routine.

These are some reasons why we should eat only healthiest food?

now I'm going to give you the list of green vegetables and fruit vegetables which are easily available in the market and you should eat them daily.

  • Amaranth leaves   (chauli).

  • white pumpkin, white melon  (petha).

  • brinjal, eggplant (baingan).

  • beetroot.

  • bitter gourd (karela).

  • cabbage (gobhi).

  • carrot.

  • capsicum (Shimla Mirch).

  • cucumber. (kheera) .

  • curry leaves (kadi patta).

  • fenugreek leaves (methi).

  • lady finger (bhendi).

  • potato (aloo).

  • pumpkin (kaddu).

  • Radish (mooli).

  • spinach (palak)

  • Cauliflower.

  • Tomato.

  • Drumsticks.

So these are some healthiest foods I found. If you know more foods then comment me I will update this post and thank you for reading this article and share this article...

Saturday, March 30, 2019

what Is Mental Health?

In this article I'm going to discuss what is mental health and what are the factors who affect the mental health, who is responsible for the mental illness and how to prevent yourself from mental illness,e.t.c I'm going to cover all the topics related to this. Read the full article to know more about this and to be aware of what to do in such situations.

what is mental health?

what is mental health?

Actually, mental health is nothing but the mental state of our body like the physical state of our body. It is a mental illness which occurs due to some mental pressures like stress, over thinking, being less interactive and more.

like your physical health is important to you same about mental health, you need to take care of mental health also because both the health conditions can affect our health in various ways.

you do exercise to improve your physical health and you join the gym to stay physically fit just like it you need to interact with peoples to stay mentally fit. If you are not interacting with the peoples and just staying at home all day and you don't have friends to interact then you become mentally ill and because of this your behavior will change, your way of thinking will change, you will start thinking like a dumb and if you talk with peoples with such  type of behavior.

 Then they feel ashamed about staying with you and then you will get isolated from them. That's why you should interact with peoples and go outside your home and play some games with your friends or discuss something about them.

It will actually help you stay mentally fit and live a healthy life. There are many children and youngsters, especially who are suffering from mental illness and want some help from us.

 Don't take too much stress and don't think too much about something cause it leads to mental disturbance. Just enjoy your life without taking tension.

who is responsible for the mental illness?

I think that you are completely responsible for your mental health or physical health because no one is going to interact you to the world, you have to interact with people by your own.

You have to make friends by your own and you have to go outside and see the world and relate with it then you will be able to improve your mental health.

now a days , work is increased and peoples are working day and night to complete the work and they are not sleeping at night doing the work all night.

because  of this they are damaging their mental as well as physical health.I know that we have to work and we have pressure on us but if you are mentally not fit then how can you do that work properly.

parents have to keep an eye on their children's like what are they doing all time?,have they got enough friend to talk or they have no friends to play or talk.

If your ward is suffering from such type of mental illness then i think that you should consult the doctor about their health and take the proper treatment.

Every  parent should consult their children to doctor once in month and take advice from doctor and take care of your child.because the future of your child is  in your hand and you have to take care about his carrier.

prevention :-

  • Interact with the world and new peoples outside.
  • make some friends and play with them.
  • go outside your home,don't spent your all day in mobile.
  • if you have such mental illness,then consult the doctor.
  • dint over think.
  • don't take too much stress.
  • try to behave as a mature person.
  • don't talk like child.
  • stay daily updated.
  • build some confidence.
  • read news paper and watch news on t.v
  • if anyone comes at your home as a guest then go and talk with them,don't hide.
  • sleep early,wake up early.
  • change your bad habits.
  • follow peoples who have some good habits in them.
  • try to understand peoples.
  • If you are doing something, then don't think like"what will peoples say?" or "what they will think about me?".
mental health

These are some preventions you should take care about your mental health.

now i hope that you have got the answer about "what is mental health?"

What Are The Health Benefits Of Honey?

In this article, you will get to know the health benefits of honey being healthy provides you the best health-related articles. Read the full article to know the health benefits of honey?

what are the health benefits of honey?

Health Benefits Of Honey:-

Honey is a sweet, viscous food substance produced by bees and some related insects. Bees produce honey from the sugary secretions of plants (floral nectar) or from secretions of other insects.

Bees store honey in wax structures called a honeycomb. The variety of honey produced by honey bees(the genus Apis) is the best-known, due to its worldwide commercial production and human consumption.

There are some wild honey bees who produce honey. There are three types of Honey bees as follows:-

  1. a single female queen bee.
  2. a seasonally variable number of male drone bees to fertilize new queens.
  3. 20,000 to 40,000 female worker bees.

Honey has some nutrition in it which is very healthy for your body. In a 100-gram serving, honey provides 304 kilocalories with no essential nutrients in significant content. Composed of 17% water and 82% carbohydrates, honey has a low content of fat, dietary fiber, and protein.

  • The main uses of honey are in cooking, baking, desserts. Honey barbecue and honey mustard are other common flavors used in sauces.

  • Because of its composition and chemical properties, honey is suitable for long-term storage and is easily assimilated even after long preservation.

  • On average, a hive will produce about 65 pounds (29 kg) of honey per year.
health benefits of honey are:-
  • Honey can improve your skin and makes your skin looks good.

  • Honey helps to prevent from a chronic cough. Because of its hot property, it makes you feel hot in cold and you feel some relief when you consume it.

- - -
1.
Here is an isolated molecule of C3H6N6 in a non-equilibrium geometry from the OMol25 dataset. Energies are from ωB97M-V with the def2-TZVPD basis set.

Last columns: bonded neighbours and bond lengths (Å).
Cartesian coordinates (Å):
1 H -1.2656 -2.4349 0.0826  N8 1.022
2 C -2.1905 0.3934 -0.0536  H4 1.050, N6 1.475, N14 1.241
3 N -0.3978 2.0471 0.1886  N6 1.444, H10 1.116, H13 1.019
4 H -2.9846 0.9970 0.2729  C2 1.050
5 N 1.1431 -0.7855 -0.0690  N7 1.361, C9 1.271
6 N -0.7618 0.7143 -0.2308  C2 1.475, N3 1.444, C9 1.373
7 N 1.9876 0.2604 -0.2846  N5 1.361, C11 1.419
8 N -1.0285 -1.4461 0.1830  H1 1.022, C9 1.412, N14 1.370
9 C -0.0813 -0.4785 -0.2188  N5 1.271, N6 1.373, N8 1.412
10 H 0.1294 2.1607 1.1659  N3 1.116
11 C 3.2332 -0.2507 0.1646  N7 1.419, H12 1.163, H15 1.278
12 H 4.0277 0.5980 0.2037  C11 1.163
13 H 0.1448 2.5031 -0.5432  N3 1.019
14 N -2.2510 -0.8412 0.0522  C2 1.241, N8 1.370
15 H 3.3394 -1.4519 0.5894  C11 1.278

## Properties
- F_max: 7.772 eV/A
- HOMO: -0.2843 hartree
- HOMO-LUMO gap: 8.56 eV
- ΔE to the lowest compared entry with this formula, charge and spin: 174.5 kcal/mol
- E: -12143.127 eV
- SMILES string: C=N/N=c1/[nH]ncn1N

***

2.
Here is the ion C3H6NO with charge +1 in a non-equilibrium geometry from the OMol25 dataset. Energies are from ωB97M-V with the def2-TZVPD basis set.

Last columns: bonded neighbours and bond lengths (Å).
Cartesian coordinates (Å):
1 H 1.0824 1.1333 -1.0561  C11 1.137
2 C -1.0402 -0.7030 -0.3377  C3 1.879, N6 1.204, H8 1.129
3 C 0.3900 -0.0040 0.6613  C2 1.879, H4 1.136, H9 1.112, C11 1.352
4 H 0.6129 -0.9305 1.2798  C3 1.136
5 O -3.0635 0.4783 0.1597  N6 1.192
6 N -2.0684 -0.1312 -0.0836  C2 1.204, O5 1.192
7 H 2.0692 1.0216 0.2700  C11 1.142
8 H -0.8956 -1.4938 -1.1305  C2 1.129
9 H 0.0017 0.7929 1.3319  C3 1.112
10 H 1.5995 -0.5166 -0.8331  C11 1.080
11 C 1.3119 0.3529 -0.2616  H1 1.137, C3 1.352, H7 1.142, H10 1.080

## Properties
- F_max: 6.575 eV/A
- HOMO: -0.6080 hartree
- Charge: +1
- HOMO-LUMO gap: 9.31 eV
- ΔE to the lowest compared entry with this formula, charge and spin: 108.7 kcal/mol
- E: -6733.264 eV
- SMILES string: CCC=[N+]=O

***

3.
Here is the ion C3H6NO with charge +1 in a non-equilibrium geometry from the OMol25 dataset. Energies are from ωB97M-V with the def2-TZVPD basis set.

Last columns: bonded neighbours and bond lengths (Å).
Cartesian coordinates (Å):
1 H -0.3103 1.9928 0.7349  C4 1.071
2 O -0.9919 -1.1615 0.2737  C7 1.502, C8 1.456
3 H -1.7548 0.4164 -1.3180  C7 1.147
4 C -0.6762 0.9905 0.8277  H1 1.071, C7 1.503, C8 1.524, H11 1.143
5 H 1.0063 -1.3761 -1.1740  N6 1.109
6 N 1.2410 -0.6170 -0.3999  H5 1.109, C8 1.381, H9 0.957, H10 1.107
7 C -1.2279 0.1970 -0.3231  O2 1.502, H3 1.147, C4 1.503, C8 1.430
8 C 0.0652 -0.1663 0.1681  O2 1.456, C4 1.524, N6 1.381, C7 1.430
9 H 1.8112 -0.1043 -0.9723  N6 0.957
10 H 1.9890 -0.9777 0.3327  N6 1.107
11 H -1.1517 0.8063 1.8502  C4 1.143

## Properties
- F_max: 5.591 eV/A
- HOMO: -0.5316 hartree
- Charge: +1
- - -
# The quantum chemistry results stop here

  • When children's get ill then doctors suggest us to give them some honey because honey helps to get relief from cough and cold.

  • Honey may be useful for controlling the side effects of radiation therapy or chemotherapy applied in cancer treatment.

  • Consumption is sometimes advocated as a treatment for seasonal allergies due to pollen.

So start consuming honey it has many health benefits but take in a limited amount.

These are some "health benefits of honey".share this information to other peoples so they can know the benefits of honey and start consuming it from today.subscribe to know more about health-related queries.

Which Are The Healthiest Foods We Can Eat?

Get the best Healthiest Foods list and information in this article. Read the full article to know more about this and eat only healthy food...